• To do:
What is needed: return the calculation results further below unchanged.

• Given:
- - -
No. 1
An optimized crystal structure of Ac2MnBiSe5. Source: Alexandria, functional PBE.

```
Ac2MnBiSe5
1.0
2.136 -8.905 0.000
2.136 8.905 0.000
0.000 0.000 13.271
Ac Mn Bi Se
4 2 2 10
Cartesian
2.136 6.770 6.636
2.136 6.700 2.009
2.136 -6.700 8.645
2.136 -6.770 0.000
2.136 1.209 3.250
2.136 -1.209 9.885
2.136 5.865 11.117
2.136 -5.865 4.481
2.136 8.738 10.893
2.136 3.579 6.693
2.136 3.419 2.034
2.136 2.877 10.964
2.136 0.048 7.637
2.136 -0.048 1.001
2.136 -2.877 4.328
2.136 -3.419 8.670
2.136 -3.579 0.058
2.136 -8.738 4.257
```

Summary:
Uncorrected formation energy, meV/atom: -1229
Total moment, μB per formula unit: 4.008
E_tot, eV per atom: -5.527

***

No. 2
An optimized crystal structure of AcMnBiSe4. Source: Alexandria, functional PBE.

```
AcMnBiSe4
1.0
6.998 0.000 0.000
0.000 7.200 0.000
-2.451 0.000 7.971
Ac Mn Bi Se
2 2 2 8
Cartesian
1.466 1.800 0.487
3.080 5.400 7.485
0.812 5.400 2.467
3.735 1.800 5.505
0.317 1.800 4.497
4.230 5.400 3.475
-1.702 3.677 5.987
-1.702 7.123 5.987
2.811 5.400 0.985
1.697 5.400 4.772
2.850 1.800 3.199
1.736 1.800 6.987
6.249 0.077 1.984
6.249 3.523 1.984
```

Summary:
Uncorrected formation energy, meV/atom: -876
Total moment, μB per formula unit: 4.994
E_tot, eV per atom: -5.318

***

No. 3
An optimized crystal structure of Ac2MnBiSe6. Source: Alexandria, functional PBE.

```
Ac2MnBiSe6
1.0
7.045 0.000 0.000
0.000 7.867 0.000
-7.035 0.000 10.182
Ac Mn Bi Se
4 2 2 12
Cartesian
-0.294 0.827 2.515
-3.812 3.107 7.606
3.821 4.760 2.576
0.303 7.040 7.667
-3.518 0.000 5.091
0.000 3.933 0.000
3.522 0.000 0.000
0.005 3.933 5.091
-5.901 1.553 9.581
-2.384 2.381 4.490
-4.871 5.269 9.666
-1.354 6.531 4.575
-2.635 0.235 7.445
0.883 3.699 2.354
-0.873 4.168 7.828
2.644 7.632 2.737
1.363 1.336 5.607
4.881 2.598 0.516
2.393 5.486 5.692
5.911 6.314 0.601
```

Summary:
Uncorrected formation energy, meV/atom: -1192
Total moment, μB per formula unit: 3.996
E_tot, eV per atom: -5.409

***

No. 4
An optimized crystal structure of Ac3BiMo. Source: Alexandria, functional PBE.

```
Ac3BiMo
1.0
5.715 0.000 0.000
0.000 5.715 0.000
0.000 0.000 5.715
Ac Bi Mo
3 1 1
Cartesian
0.000 0.000 2.857
0.000 2.857 0.000
2.857 0.000 0.000
2.857 2.857 2.857
0.000 0.000 0.000
```

Summary:
Total moment, μB per formula unit: 0.000
E_tot, eV per atom: -5.422
ΔE_f, kJ/mol of atoms: -1.4
- - -

• Solution:
No. 1
An optimized crystal structure of Ac2MnBiSe5. Source: Alexandria, functional PBE.

```
Ac2MnBiSe5
1.0
2.136 -8.905 0.000
2.136 8.905 0.000
0.000 0.000 13.271
Ac Mn Bi Se
4 2 2 10
Cartesian
2.136 6.770 6.636
2.136 6.700 2.009
2.136 -6.700 8.645
2.136 -6.770 0.000
2.136 1.209 3.250
2.136 -1.209 9.885
2.136 5.865 11.117
2.136 -5.865 4.481
2.136 8.738 10.893
2.136 3.579 6.693
2.136 3.419 2.034
2.136 2.877 10.964
2.136 0.048 7.637
2.136 -0.048 1.001
2.136 -2.877 4.328
2.136 -3.419 8.670
2.136 -3.579 0.058
2.136 -8.738 4.257
```

Summary:
Uncorrected formation energy, meV/atom: -1229
Total moment, μB per formula unit: 4.008
E_tot, eV per atom: -5.527

***

No. 2
An optimized crystal structure of AcMnBiSe4. Source: Alexandria, functional PBE.

```
AcMnBiSe4
1.0
6.998 0.000 0.000
0.000 7.200 0.000
-2.451 0.000 7.971
Ac Mn Bi Se
2 2 2 8
Cartesian
1.466 1.800 0.487
3.080 5.400 7.485
0.812 5.400 2.467
3.735 1.800 5.505
0.317 1.800 4.497
4.230 5.400 3.475
-1.702 3.677 5.987
-1.702 7.123 5.987
2.811 5.400 0.985
1.697 5.400 4.772
2.850 1.800 3.199
1.736 1.800 6.987
6.249 0.077 1.984
6.249 3.523 1.984
```

Summary:
Uncorrected formation energy, meV/atom: -876
Total moment, μB per formula unit: 4.994
E_tot, eV per atom: -5.318

***

No. 3
An optimized crystal structure of Ac2MnBiSe6. Source: Alexandria, functional PBE.

```
Ac2MnBiSe6
1.0
7.045 0.000 0.000
0.000 7.867 0.000
-7.035 0.000 10.182
Ac Mn Bi Se
4 2 2 12
Cartesian
-0.294 0.827 2.515
-3.812 3.107 7.606
3.821 4.760 2.576
0.303 7.040 7.667
-3.518 0.000 5.091
0.000 3.933 0.000
3.522 0.000 0.000
0.005 3.933 5.091
-5.901 1.553 9.581
-2.384 2.381 4.490
-4.871 5.269 9.666
-1.354 6.531 4.575
-2.635 0.235 7.445
0.883 3.699 2.354
-0.873 4.168 7.828
2.644 7.632 2.737
1.363 1.336 5.607
4.881 2.598 0.516
2.393 5.486 5.692
5.911 6.314 0.601
```

Summary:
Uncorrected formation energy, meV/atom: -1192
Total moment, μB per formula unit: 3.996
E_tot, eV per atom: -5.409

***

No. 4
An optimized crystal structure of Ac3BiMo. Source: Alexandria, functional PBE.

```
Ac3BiMo
1.0
5.715 0.000 0.000
0.000 5.715 0.000
0.000 0.000 5.715
Ac Bi Mo
3 1 1
Cartesian
0.000 0.000 2.857
0.000 2.857 0.000
2.857 0.000 0.000
2.857 2.857 2.857
0.000 0.000 0.000
```

Summary:
Total moment, μB per formula unit: 0.000
E_tot, eV per atom: -5.422
ΔE_f, kJ/mol of atoms: -1.4